Host Member Society: United Kingdom
Short name: Observationall Method (TC206) - Terms of Reference - approved
Contact: TC206 Secretary, Amit Srivastava
TC-206 External Website: tc206issmge
The following “planned activities” are proposed by the TC206:-
- Contact TC members (Objective 1) - The TC Members will write short CV’s summarising their OM experience and papers they have written. The TC will then:-
- Identify gaps in the TC skill base and identify new members.
- Debate the difference in terminology between “Interactive Design” and “Observational Method” in (two) conference calls with the members.
____________
*1*
Entry from the Open Molecules 2025 dataset: C41H40BrLaN7O11SSb as an isolated structure (wB97M-V/def2-TZVPD).

Values from the calculation:
Gap between HOMO and LUMO ... 7.360 eV
2S+1 ... 1
Molar mass ... 1179.446 Da

Each line ends with the Mulliken charge.
Positions of all 103 atoms, in Å:
La  12.794  15.460  12.949  2.289
N  14.943  13.927  13.977  -0.371
C  15.925  13.267  13.171  -0.879
C  16.246  14.040  11.863  -0.602
N  15.111  14.737  11.325  -0.423
H  15.353  14.758  14.422  0.017
H  14.585  13.398  14.765  0.149
H  15.705  12.221  12.926  0.466
H  16.840  13.202  13.737  0.460
H  16.579  13.221  11.183  0.263
H  17.113  14.667  12.001  0.355
H  14.988  14.574  10.321  0.241
H  15.396  15.712  11.342  0.122
O  11.645  19.355  15.494  -0.658
C  11.517  18.505  14.583  -0.005
O  12.471  17.647  14.231  0.627
C  10.139  18.258  13.906  0.548
C  9.247  19.352  13.960  -1.085
C  8.007  19.257  13.198  -0.412
C  7.662  18.051  12.577  -0.394
C  8.541  16.995  12.557  -0.012
C  9.761  17.047  13.269  -0.375
O  10.419  15.897  13.401  -0.359
N  8.054  15.774  11.902  1.069
O  8.288  14.642  12.393  -0.586
O  7.390  15.968  10.896  -0.613
N  7.067  20.341  13.095  0.945
O  7.048  21.212  13.980  -0.605
O  6.327  20.328  12.114  -0.598
H  9.564  20.201  14.513  0.779
H  6.657  17.999  12.077  0.497
N  9.604  20.007  9.242  -0.497
C  10.557  19.071  9.595  1.042
C  10.231  17.677  9.619  -0.605
C  11.211  16.817  10.108  -0.214
N  12.370  17.205  10.719  -0.225
C  12.729  18.502  10.542  -0.963
C  11.854  19.442  10.023  -0.825
H  8.859  19.785  8.624  0.237
H  9.985  20.958  9.071  0.209
H  9.342  17.257  9.136  0.337
H  11.077  15.724  10.050  0.188
H  13.757  18.703  10.713  0.777
H  12.139  20.508  9.919  0.194
N  9.975  13.381  14.224  0.113
C  10.578  12.726  15.363  -0.911
C  12.095  13.187  15.390  0.269
O  12.997  12.434  15.748  -0.711
O  12.169  14.401  14.869  0.311
H  9.001  13.117  14.023  0.526
H  10.516  13.124  13.354  -0.058
H  10.037  14.437  14.190  0.190
H  10.543  11.632  15.079  0.347
H  10.046  12.845  16.301  0.364
Br  11.741  7.843  9.854  -0.196
C  11.750  9.707  9.454  -0.122
C  11.617  10.128  8.132  -0.420
C  11.630  11.498  7.842  -0.653
C  11.882  12.461  8.798  -0.299
C  12.007  12.017  10.127  0.373
C  11.959  10.595  10.455  -0.427
C  12.042  13.015  11.293  0.800
O  12.129  14.293  10.967  -0.588
O  12.031  12.586  12.504  -1.055
H  11.397  9.459  7.339  0.444
H  11.457  11.846  6.814  0.356
H  12.017  13.512  8.525  0.417
H  12.040  10.346  11.510  0.497
S  15.280  17.412  13.400  -0.712
Sb  14.521  18.556  15.312  1.289
C  16.610  18.723  15.898  0.630
C  17.342  19.842  15.518  -0.297
C  18.644  20.005  16.022  -0.472
C  19.212  19.077  16.896  -0.728
C  18.455  17.931  17.193  -0.405
C  17.186  17.741  16.707  -0.729
C  14.202  20.624  14.658  0.732
C  13.901  20.939  13.357  -0.189
C  14.118  22.232  12.864  -0.752
C  14.491  23.208  13.814  -0.558
C  14.697  22.951  15.175  -0.681
____________
- Identify a TC secretary from outside Europe with OM experience.
The timeframe for this is 3 months
- Establish Guidelines and Standards (Objective 2) – Review the current use of OM in guides and design specifications.
A developing area is real time back analysis using Bayesian methods to automate the redesign process. Procedures need to be developed and tested.
A reference list and comparisons will be made. The time frame for this is 6 months and parallels Eurocode updates.
- Conference Organised by ISSMGE (Objective 3) – The OM is unlikely to warrant a conference by itself. However, OM fits well with other ISSMGE conferences which have a large component of back analysis. The following is planned:-
- Present at the ISSMGE Conf Sydney (Sept 2021) on the changes planned for the TC.
- Promote a clear framework and design process to be used with OM.
- Organise sessions / participate in conferences on back analysis in geotechnics, including soil parameter assessment leading to most probable and characteristic parameters, tunnelling, environmental geotechnics, instrumentation, risk assessment, statistics and risk.
- Interaction with Industry and other TC’s (Objective 4) – To improve interaction with industry the TC206 needs to interact with construction contracts. This will require contractor and client input. The design and build contracts are possibly the easiest way to interact using value engineering clauses. Initially the TC206 will encourage experienced contractors to join TC206. The papers will be written to define contract options for OM input.
The Objective 4 identifies some of the other TC’s to interact with.The Chair/members of TC206 are individually interacting with the relevant TC’s and report back to the whole TC. From those contacts a proposal for a joint meeting is developed taking place at a ISSMGE conference.
The deliverables include:-
Objective 1 deliverables - An active TC206 group and clarification on ID / OM with a web site. – 3 months
Objective 2 deliverables – A coordinated approach to OM through different guides and codes. The redrafting of the Eurocode is in progress. The OM aspects will be disseminated - 6 months.
Objective 3 deliverable - Joint ISSMGE Conferences with other TC particularly on back analysis. - The ISSMGE 2021 will be a key target to link with other TC’s.
Objective 4 deliverable – A contractual framework for the use of OM by industry. The first step in to identify key contractors and clients. 3 months – a contractual framework would take about a year.